by Matthew Raley
I've given several examples of Alfred Hitchcock's abstract visuals in Vertigo (here and here). But Hitchcock also created a sound-world to match, and he found a collaborator in Bernard Herrmann. Together, they raised the score to the level of co-narrator with the camera.
The term “Wagnerian” is often used to characterize Herrmann’s score for Vertigo, and for good reason. But the variety of composers who influenced Herrmann hints at a more complex musical imagination.
He was famous for loving English composers such as Edward Elgar[1] and Ralph Vaughan Williams.[2] Vertigo’s frequent similarity to music by Claude Debussy is mentioned by critics.[3] Less well-known is Herrmann’s study as a thirteen-year-old of Hector Berlioz’s Treatise on Orchestration. The influence this Romantic maverick had on Herrmann was life-long.[4] Nor was Berlioz the only musical outsider with whom Herrmann identified. Though Herrmann spent his student years in New York close to such American icons as Aaron Copland and George Gershwin, Herrmann also developed relationships with young radical composers in a group modeled on Les Six.
Most significantly, Steven Smith documents Herrmann’s long association with Charles Ives, the ultimate outsider, noting Herrmann’s early study of Ives’s 114 Songs and his habitual visits with Ives until Ives died in 1954.[5]
With such a background, there should be no surprise that Herrmann’s score is one of the more abstract elements of Vertigo.
It is not explicitly tonal—that is, the harmonies are not organized around a triad that specifies a key, but around the pitch-class structures and intervallic relationships that occur in the first bars of the prelude. Such harmonies, while not expressionistic, are at the outer reaches of the common practice era.
Herrmann, further, employs a modular phrase structure that permits the extension of a line, but is not intrinsically melodic, alluding to but not identical with the traditional eight- or sixteen-bar phrase.
Moreover, Herrmann blurs the classic distinction between diegetic and nondiegetic music at various points in the score. Diegetic music comes from a source within the film, like the record-player in Midge's apartment that annoys Scottie. Nondiegetic music comes from outside the story's action: the audience hears it, but the characters don't.
As we will explore over the next posts, the abstraction of Vertigo’s music allows it to operate with subtlety, concision, and force. The score is a large part of the greatness of this film.
[1]Bernard Herrmann, “Elgar: A Constant Source of Joy,” in Edward Johnson, Bernard Herrmann: Hollywood’s Music-Dramatist, Bibliographical Series 6 (Rickmansworth: Triad Press, 1977), 29–31.
[2]Bernard Herrmann, “Vaughan Williams’s London Symphony,” The Musical Times 100, no. 1391 (1959): 24.
[3]William H. Rosar, “Bernard Herrmann: The Beethoven of Film Music?,” The Journal of Film Music 1, no. 2 (2003): 137; Royal S. Brown, “Herrmann, Hitchcock, and the Music of the Irrational,” Cinema Journal 21, no. 2 (April 1, 1982): 20.
## Someone pasted calculated molecules at this point
- - -
Record 1
Computed, not measured: a molecular structure, C33H40BBrHgN9O2, with wB97M-V/def2-TZVPD.

As for the HOMO-LUMO gap (alpha / beta): 2.386 / 5.233 eV. Its expectation value of S² is 0.79. The value obtained for the energy is -127270.67590 eV. The lowest unoccupied orbital energy (alpha / beta) comes out at 4.2 / 4.2 eV. The value obtained for the maximum force is 0.012 hartree/bohr. The value obtained for the HOMO energy (alpha / beta) is 1.767 / -1.081 eV.

```
! RIJCOSX wB97M-V def2-TZVPD def2/J DEFGRID3
* xyz -2 2
Hg 0.014 0.411 0.116
C 3.784 2.398 1.244
C 3.334 1.336 2.188
C 3.982 0.937 3.373
C 3.196 -0.067 3.894
C 3.421 -0.866 5.138
N 2.144 -0.231 3.062
N 2.227 0.627 2.016
B 0.978 -1.223 3.264
N -0.395 -0.520 3.366
N -0.890 0.312 2.423
C -2.106 0.674 2.798
C -2.972 1.608 2.026
C -2.411 0.070 4.033
C -1.303 -0.684 4.353
C -1.080 -1.526 5.569
N 0.960 -2.244 2.105
N 0.468 -1.909 0.900
C 0.447 -2.999 0.152
C -0.066 -2.987 -1.249
C 0.938 -4.085 0.900
C 1.248 -3.561 2.141
C 1.827 -4.264 3.327
H 4.108 3.283 1.794
H 2.970 2.662 0.569
H 4.627 2.047 0.641
H 4.900 1.325 3.786
H 4.350 -0.545 5.607
H 3.495 -1.933 4.916
H 2.602 -0.734 5.847
H 1.168 -1.813 4.289
H -2.574 1.766 1.027
H -3.027 2.576 2.530
H -3.977 1.199 1.929
H -3.329 0.160 4.592
H -1.945 -1.441 6.225
H -0.194 -1.199 6.117
H -0.942 -2.579 5.310
H -0.856 -2.237 -1.332
H -0.456 -3.969 -1.521
H 0.732 -2.713 -1.943
H 1.056 -5.108 0.576
H 1.992 -5.311 3.074
H 1.162 -4.216 4.191
H 2.781 -3.821 3.619
C 3.122 -0.024 -3.628
C 1.985 0.318 -2.678
O 1.747 -0.465 -1.777
C 1.291 1.632 -2.882
C -0.202 1.500 -2.931
C -0.932 1.859 -4.197
N -0.874 1.042 -1.910
N -2.200 0.934 -2.003
C -2.748 0.112 -1.078
O -2.044 -0.617 -0.270
C -4.190 0.039 -1.041
C -4.812 -0.865 -0.139
C -6.184 -0.958 -0.052
C -7.010 -0.172 -0.868
C -6.407 0.711 -1.775
C -5.036 0.825 -1.862
H 3.976 -0.373 -3.046
H 3.420 0.835 -4.229
H 2.824 -0.838 -4.293
H 1.601 2.028 -3.848
H -0.261 1.882 -5.060
H -1.415 2.839 -4.100
H -1.733 1.134 -4.366
H -4.165 -1.462 0.492
H -6.630 -1.654 0.654
H -8.090 -0.240 -0.791
H -7.039 1.314 -2.422
H -4.585 1.526 -2.554
C 3.378 4.048 -3.340
C 2.171 3.986 -2.445
C 1.364 5.040 -2.211
C 0.329 4.978 -1.228
C 0.333 3.829 -0.470
Br -0.719 3.870 1.157
N 1.044 2.750 -0.611
C 1.881 2.665 -1.783
H 3.635 5.084 -3.574
H 3.230 3.521 -4.292
H 4.237 3.579 -2.844
H 1.541 5.985 -2.720
H -0.305 5.820 -1.002
H 2.836 2.206 -1.462
*
```

Atom charges from the Mulliken analysis, given in e for atoms 1 to 4: Hg 3.005; C -0.978; C 0.760; C -1.865

=====

Record 2
Computed, not measured: a molecular structure, C33H40BaN4P2Te at a distorted geometry, with wB97M-V/def2-TZVPD.

As for the HOMO-LUMO gap: 5.570 eV. The value obtained for the energy is -67388.57386 eV. The lowest unoccupied orbital energy comes out at -0.4 eV. The value obtained for the maximum force is 0.111 hartree/bohr. The value obtained for the HOMO energy is -5.969 eV.

```
! RIJCOSX wB97M-V def2-TZVPD def2/J DEFGRID3
* xyz 0 1
Ba -0.688 -0.820 4.722
- - -
[4]Steven C. Smith, A Heart at Fire’s Center: The Life and Music of Bernard Herrmann (Berkeley: University of California Press, 2002), 14–15.
[5]Ibid., 21–23, 38–39.